Legislative Drafting

The Firm has extensive experience relating to legislative drafting, especially related to technical & specialized sectors like IT, Telecom, Power, Public Private Partnerships, Corporate, Capital Markets and Regulatory matters. Some of the legislative assignments completed by the Firm & its Partners are:
- Drafting of the “Electronic Transactions Ordinance, 2002”. The assignment was awarded for the development and drafting of the first piece of legislation for the equivalence of electronic with paper-based communications and to jump-start recognition of electronic communications in commerce and Government. The team comprised lawyers and telecommunications engineers. The assignment required a close examination of UNCITRAL Model Law, legislative initiatives from various jurisdictions, public-private key infrastructure requirements, relevant domestic legislation requiring amendment, and other relevant papers and materials. The law has won international acclaim for being technology neutral and progressive.
[1]
This record from OMol25 describes 4 unconnected molecules or ions with the total composition C28H64BNO4P. The level of theory is wB97M-V/def2-TZVPD.

Properties
Total charge: -1
Strongest force on any atom (eV/A): 8.4
Orbital gap (eV): 5.106
Highest occupied orbital energy (eV): -3.10
M (g/mol): 520.6
LUMO level (eV): 2.006

The geometry in XYZ format:
```
99
Properties=species:S:1:pos:R:3:lowdin_charge:R:1
C 6.5712 -4.9705 -1.9146 -0.09
C 6.7669 -3.4750 -2.0848 -0.11
B 6.2871 -2.8424 -3.5244 -1.04
C 6.9074 -1.3275 -3.6701 -0.08
C 5.8293 -0.1085 -3.4783 -0.28
O 5.6370 0.3303 -2.2058 -0.08
O 5.1368 0.5067 -4.6216 -0.05
O 4.8481 -2.9668 -3.8201 -0.15
C 4.0097 -2.8480 -2.6186 -0.18
C 2.4924 -2.4768 -3.1157 -0.27
C 2.4174 -1.2823 -4.2447 -0.10
C 1.6135 -3.7388 -3.6807 -0.36
C 0.1981 -3.9854 -2.8465 -0.12
C 2.4054 -5.1724 -3.7389 -0.12
P 7.1929 -3.9084 -4.8887 0.88
N 8.9483 -3.4340 -4.8586 -0.24
O 6.6258 -3.4272 -6.4700 -0.42
H 5.6231 -5.3798 -1.3190 0.05
H 7.3618 -5.6497 -2.4496 0.04
H 7.2812 -2.8712 -1.2164 0.10
H 7.3657 -1.2198 -4.7669 0.09
H 7.8393 -1.2210 -2.9327 0.13
H 5.8472 1.0010 -5.1471 0.12
H 4.3703 -1.9361 -1.9426 0.14
H 4.0006 -3.7859 -1.9196 0.11
H 1.9134 -2.0729 -2.1537 0.13
H 2.4621 -0.2100 -3.7259 0.08
H 1.3607 -1.3059 -4.7929 0.08
H 3.2379 -1.3433 -5.0783 0.08
H 1.3025 -3.4858 -4.8038 0.13
H -0.6724 -4.3276 -3.5788 0.07
H 0.3237 -4.8445 -2.0477 0.08
H -0.1612 -2.9621 -2.3648 0.07
H 1.5958 -5.9905 -4.0526 0.08
H 3.3598 -5.1884 -4.4163 0.09
H 2.7182 -5.4515 -2.6212 0.08
H 9.0751 -2.5653 -5.4458 0.01
H 9.5343 -4.1752 -5.3055 0.00
H 5.8953 -2.7333 -6.3267 0.05
C -0.0164 1.1729 -1.5254 -0.11
C -1.1021 2.0463 -2.1332 -0.28
C -0.8731 2.3523 -3.6150 -0.23
C 0.4022 3.1414 -3.9337 -0.22
C 0.5301 4.4942 -3.2294 -0.27
C -0.5646 5.4779 -3.6111 -0.12
H 0.9599 1.6652 -1.5489 0.07
H -0.2516 0.9558 -0.4776 0.06
H 0.0627 0.2202 -2.0576 0.07
H -1.1922 2.9745 -1.5595 0.09
H -2.0633 1.5279 -2.0310 0.10
H -1.7438 2.8974 -3.9997 0.10
H -0.8415 1.4073 -4.1718 0.11
H 0.4470 3.3010 -5.0185 0.11
H 1.2789 2.5319 -3.6840 0.10
H 1.4992 4.9329 -3.4969 0.11
H 0.5429 4.3616 -2.1426 0.09
H -0.5693 5.6564 -4.6908 0.07
H -0.3999 6.4374 -3.1101 0.07
H -1.5534 5.1158 -3.3156 0.06
C -3.6677 2.9571 4.5938 -0.12
C -3.2565 3.9728 3.5402 -0.27
C -2.9227 3.3397 2.1875 -0.23
C -1.7359 2.3692 2.1912 -0.22
C -0.4116 2.9539 2.6883 -0.27
C 0.1044 4.0949 1.8261 -0.11
H -2.8583 2.2569 4.8190 0.07
H -3.9307 3.4686 5.5263 0.07
H -4.5404 2.3845 4.2655 0.07
H -2.4097 4.5620 3.9072 0.10
H -4.0831 4.6797 3.3973 0.10
H -2.7356 4.1404 1.4616 0.10
H -3.8058 2.8023 1.8196 0.11
H -1.5956 1.9919 1.1703 0.09
H -1.9840 1.4935 2.8029 0.10
H 0.3396 2.1545 2.6914 0.11
H -0.5058 3.2903 3.7260 0.10
H 0.2445 3.7689 0.7908 0.06
H 1.0703 4.4455 2.2043 0.07
H -0.5817 4.9466 1.8311 0.07
C -6.2844 -2.7555 8.5473 -0.12
C -7.3700 -1.8821 7.9395 -0.28
C -7.1410 -1.5761 6.4577 -0.23
C -5.8657 -0.7871 6.1390 -0.23
C -5.7379 0.5658 6.8433 -0.27
C -6.8325 1.5495 6.4616 -0.12
H -5.3081 -2.2632 8.5239 0.07
- Preparation of Interconnection Disputes Resolution Regulations for the NRA;
- Drafting of the secondary legislative framework for NEPRA for the power sector;
- Drafting of the Public Private Partnership (PPP) Law and the PPP Policy and assisting the Infrastructure Project Development Facility (IPDF) teams in the presentation of these instruments to the approving Government bodies;
- Policy formulation, stakeholder dialogue, and drafting of the upcoming Securities and Exchange Commission of Pakistan (Regulation and Enforcement) Act to replace the existing SECP Act, 1997 and its presentation before approving Government forums;
- Policy formulation, stakeholder dialogue, drafting & presentation before Government and Legislative forums of the Stock Exchanges (Corporatization, Demutualization & Integration) Act, 2012, which converted the three stock exchanges of the country from closely held guarantee limited companies by stock brokers to diversely held companies limited by shares;
- Drafting of various amendments in the Companies Ordinance, 1984; SECP Act, 1997; Insurance Ordinance, 2000; Securities & Exchange Ordinance, 1969; Listed Companies (Substantial Acquisition of voting shares & Takeovers) Ordinance, 2002, Anti-Money Laundering Act;
- Drafting & finalizing NBFC & NE Regulations 2008, Group Companies Registration Regulations 2008, Real Estate Investment Trust (REIT) Regulations 2008, Securities (Leveraged Markets & Pledging) Rules 2011, Debt Securities Trustees Regulations 2012.
- Drafting & finalization of the Alternative Energy Development Board (Certification) Regulation, 2018.
- Drafting & finalization of the Alternative Energy Development Board (Certification) Regulation, 2021.
- Drafting & finalization of the National Electric Power Regulatory Authority (Microgrid) Regulations, 2021.
- Drafting of the Lok Virsa Ordinance, 2002.
- Drafting of the Road Maintenance Fund.
- Preparation of the Alternative and Renewable Energy Policy, 2019.